Dean’s Message: When the going gets tough, follow the Gators’ lead
• Materials data, as found in the file:
-- begin --
Na9Nb2Zn10P3S15O72: optimized geometry, GGA-PBE.

Results
Magnetic moment = 0.000 μB per atom
Calculated formation energy = -232.46 eV/f.u.
SG = P1 (1)

abc: 8.7802 8.7911 22.5917
angles: 89.60 89.65 60.07
Last column: nearest neighbours and their distance in Å.
Fractional coordinates of all 111 atoms:
Na 0.0000 0.0000 0.0000  5 O 2.34-2.61
Na 0.0008 0.3816 0.2544  5 O 2.46-2.71
Na 0.3324 0.7026 0.0848  6 O 2.49-2.61
Na 0.3345 0.0708 0.8286  5 O 2.39-2.56
Na 0.3364 0.7133 0.5838  6 O 2.48-2.63
Na 0.6558 0.0383 0.4150  6 O 2.52-2.72
Na 0.6730 0.0323 0.9144  6 O 2.52-2.70
Na 0.9687 0.0710 0.3286  5 O 2.39-2.61
Na 0.9905 0.3841 0.7548  3 O 2.42-2.50
Nb 0.0012 0.3775 0.1025  6 O 1.94-2.04
Nb 0.0064 0.3687 0.6025  6 O 1.90-2.06
Zn 0.3255 0.7149 0.2324  6 O 2.04-2.21
Zn 0.3320 0.6936 0.9308  5 O 1.99-2.20
Zn 0.3349 0.7131 0.7322  6 O 2.03-2.19
Zn 0.3393 0.7036 0.4302  5 O 2.02-2.22
Zn 0.6615 0.0372 0.5673  5 O 1.93-2.16
Zn 0.6647 0.0422 0.7624  6 O 2.05-2.19
Zn 0.6678 0.0431 0.2627  6 O 2.03-2.19
Zn 0.6783 0.0288 0.0679  6 O 1.97-2.21
Zn 0.9912 0.3929 0.8979  3 O 1.92-2.07
Zn 0.9995 0.3823 0.3982  6 O 2.01-2.17
P 0.3804 0.0301 0.6661  4 O 1.51-1.65
P 0.9658 0.0336 0.1648  4 O 1.53-1.63
P 0.9992 0.6709 0.9965  4 O 1.50-1.61
S 0.0341 0.0046 0.8333  4 O 1.47-1.50
S 0.0398 0.7054 0.3325  4 O 1.47-1.50
S 0.2957 0.3737 0.4970  4 O 1.46-1.55
S 0.2979 0.0815 0.9973  4 O 1.46-1.54
S 0.3364 0.4110 0.8308  4 O 1.47-1.50
S 0.3370 0.0020 0.3326  4 O 1.47-1.51
S 0.3793 0.3326 0.1641  4 O 1.46-1.56
S 0.6266 0.4133 0.3318  4 O 1.47-1.51
S 0.6274 0.7057 0.8321  4 O 1.47-1.50
S 0.6619 0.7491 0.1653  4 O 1.46-1.56
S 0.6635 0.3340 0.6639  4 O 1.46-1.56
S 0.7071 0.3756 0.9979  4 O 1.46-1.53
S 0.7080 0.6672 0.4978  4 O 1.46-1.53
S 0.9622 0.7492 0.6641  4 O 1.46-1.56
S 0.9985 0.0792 0.4973  4 O 1.46-1.55
O 0.0164 0.5500 0.0528  1 P 1.61
O 0.0170 0.1793 0.5504  1 S 1.55
O 0.0200 0.5484 0.3381  1 S 1.48
O 0.0229 0.1804 0.8376  1 S 1.50
O 0.1109 0.9043 0.8892  1 S 1.49
O 0.1198 0.7361 0.3857  1 S 1.49
O 0.1422 0.7159 0.6704  1 S 1.46
O 0.1449 0.6802 0.2785  1 S 1.47
O 0.1494 0.9205 0.7815  1 S 1.48
O 0.1526 0.8786 0.1703  1 P 1.53
O 0.1616 0.9088 0.4971  1 S 1.47
O 0.1675 0.6854 0.9971  1 P 1.55
O 0.1721 0.1782 0.3378  1 S 1.51
O 0.1764 0.1771 0.0503  1 S 1.54
O 0.1794 0.3856 0.8348  1 S 1.50
O 0.1802 0.3911 0.5514  1 S 1.55
O 0.1870 0.2055 0.6533  1 P 1.65
O 0.1934 0.3521 0.1565  1 S 1.56
O 0.2128 0.3487 0.4450  1 S 1.46
O 0.2177 0.1815 0.9429  1 S 1.47
O 0.3013 0.5378 0.4965  1 S 1.47
O 0.3042 0.9103 0.9972  1 S 1.48
O 0.3048 0.9228 0.2798  1 S 1.48
O 0.3127 0.5179 0.7777  1 S 1.47
O 0.3430 0.8789 0.6710  1 P 1.52
O 0.3510 0.5107 0.1698  1 S 1.46
O 0.3587 0.4887 0.8853  1 S 1.47
O 0.3611 0.8975 0.3870  1 S 1.48
O 0.4396 0.0773 0.7231  1 P 1.53
O 0.4455 0.2259 0.2177  1 S 1.46
O 0.4687 0.0673 0.0066  1 S 1.46
O 0.4690 0.2177 0.5050  1 S 1.46
O 0.4789 0.2513 0.1103  1 S 1.46
O 0.4860 0.0109 0.6108  1 P 1.51
O 0.4931 0.0223 0.3258  1 S 1.47
O 0.4944 0.2311 0.8270  1 S 1.50
-- stop --

Dean Emihovich
### The piece is interrupted by records of crystals
+++
An optimized crystal structure of NaFe12O19. Source: the Materials Project, functional PBE with a Hubbard U.

abc: 5.9874 5.9874 23.2387
angles: 90.00 90.00 120.00
Closest atoms and distances in Å follow each position.
Fractional coordinates of all 64 atoms:
Na: 0.3333 0.6667 0.7500  12 O 2.88-3.00
Na: 0.6667 0.3333 0.2500  12 O 2.88-3.00
Fe: 0.1685 0.8315 0.8901  6 O 1.94-2.14
Fe: 0.1685 0.8315 0.6099  6 O 1.94-2.14
Fe: 0.3333 0.6667 0.1911  6 O 2.00-2.08
Fe: 0.3333 0.6667 0.0284  4 O 1.94-1.95
Fe: 0.3333 0.6667 0.3089  6 O 2.00-2.08
Fe: 0.0000 0.0000 0.0000  6 O 2.02
Fe: 0.0000 0.0000 0.2500  3 O 1.89
Fe: 0.0000 0.0000 0.5000  6 O 2.02
Fe: 0.1685 0.3370 0.6099  6 O 1.94-2.14
Fe: 0.3333 0.6667 0.4716  4 O 1.94-1.95
Fe: 0.0000 0.0000 0.7500  3 O 1.89
Fe: 0.1685 0.3370 0.8901  6 O 1.94-2.14
Fe: 0.6630 0.8315 0.8901  6 O 1.94-2.14
Fe: 0.6630 0.8315 0.6099  6 O 1.94-2.14
Fe: 0.3370 0.1685 0.1099  6 O 1.94-2.14
Fe: 0.3370 0.1685 0.3901  6 O 1.94-2.14
Fe: 0.8315 0.6630 0.1099  6 O 1.94-2.14
Fe: 0.6667 0.3333 0.6911  6 O 2.00-2.08
Fe: 0.6667 0.3333 0.8089  6 O 2.00-2.08
Fe: 0.8315 0.6630 0.3901  6 O 1.94-2.14
Fe: 0.6667 0.3333 0.9716  4 O 1.94-1.95
Fe: 0.6667 0.3333 0.5284  4 O 1.94-1.95
Fe: 0.8315 0.1685 0.1099  6 O 1.94-2.14
Fe: 0.8315 0.1685 0.3901  6 O 1.94-2.14
O: 0.1548 0.8452 0.0531  4 Fe 1.94-2.14
O: 0.1548 0.8452 0.4469  4 Fe 1.94-2.14
O: 0.9948 0.4974 0.3502  3 Fe 1.94-2.00
O: 0.0052 0.5026 0.8502  3 Fe 1.94-2.00
O: 0.9948 0.4974 0.1498  3 Fe 1.94-2.00
O: 0.0052 0.5026 0.6498  3 Fe 1.94-2.00
O: 0.1826 0.8174 0.2500  3 Fe 1.89-2.08
O: 0.3333 0.6667 0.9446  4 Fe 1.95-2.13
O: 0.3333 0.6667 0.5554  4 Fe 1.95-2.13
O: 0.0000 0.0000 0.1531  4 Fe 2.01-2.25
O: 0.1548 0.3096 0.0531  4 Fe 1.94-2.14
O: 0.0000 0.0000 0.3469  4 Fe 2.01-2.25
O: 0.0000 0.0000 0.6531  4 Fe 2.01-2.25
O: 0.1826 0.3653 0.2500  3 Fe 1.89-2.08
O: 0.0000 0.0000 0.8469  4 Fe 2.01-2.25
O: 0.1548 0.3096 0.4469  4 Fe 1.94-2.14
O: 0.6347 0.8174 0.2500  3 Fe 1.89-2.08
O: 0.3096 0.1548 0.5531  4 Fe 1.94-2.14
O: 0.3096 0.1548 0.9469  4 Fe 1.94-2.14
O: 0.5026 0.4974 0.3502  3 Fe 1.94-2.00
O: 0.5026 0.4974 0.1498  3 Fe 1.94-2.00
O: 0.4974 0.5026 0.8502  3 Fe 1.94-2.00
O: 0.4974 0.5026 0.6498  3 Fe 1.94-2.00
O: 0.6904 0.8452 0.4469  4 Fe 1.94-2.14
O: 0.6904 0.8452 0.0531  4 Fe 1.94-2.14
O: 0.3653 0.1826 0.7500  3 Fe 1.89-2.08
O: 0.5026 0.0052 0.1498  3 Fe 1.94-2.00
O: 0.5026 0.0052 0.3502  3 Fe 1.94-2.00
O: 0.4974 0.9948 0.6498  3 Fe 1.94-2.00
O: 0.8452 0.6904 0.9469  4 Fe 1.94-2.14
O: 0.4974 0.9948 0.8502  3 Fe 1.94-2.00
O: 0.6667 0.3333 0.4446  4 Fe 1.95-2.13
O: 0.6667 0.3333 0.0554  4 Fe 1.95-2.13
O: 0.8452 0.6904 0.5531  4 Fe 1.94-2.14
O: 0.8174 0.6347 0.7500  3 Fe 1.89-2.08
O: 0.8174 0.1826 0.7500  3 Fe 1.89-2.08
O: 0.8452 0.1548 0.5531  4 Fe 1.94-2.14
O: 0.8452 0.1548 0.9469  4 Fe 1.94-2.14

Properties
The value obtained for the formation energy is -1.59 eV/atom. Its calculated total energy is -6.49 eV per atom.
+++
I recall starting my January 2007 column by noting that the UF football team had just defeated Ohio State for the BCS National Championship. Now, two years later, I have the same opportunity. While we celebrated victory in both title games, a striking difference is how the second victory was achieved-a tough, gritty, pertinacious effort against a strong, formidable Oklahoma team. The Gators’ determination and resolve mirrors how we must approach the task of dealing with the severe fiscal crises at the state and national levels. We will have to buckle down and ask hard, and sometimes, painful questions about the College’s strategic directions, what goals we want to achieve, and how we intend to achieve these goals with diminished resources.
To succeed in this challenging environment, we must identify and secure new resources. One key strategy is to embrace the concept of partnerships and collaboration at all levels. Among faculty, serious and substantive discussions will need to occur in all degree programs about how to strengthen or revise programs in relation to the rich array of talent available not only within our college, but across the entire university. We also must find new ways to package our expertise in important areas such as teaching, learning, and assessment. In fact, CAPES (Collaborative Assessment and Program Evaluation Services) was started about a year ago for just this purpose, and it is already attracting great interest from the entire campus. As CAPES expands its resource base, it will be able to fund both faculty and staff to engage in work that helps support research-related activities.
College faculty also must become more involved in partnership activities with school districts. In this respect, we are very fortunate to have the Lastinger Center of Learning so deeply connected with our degree programs, especially the job-embedded master’s degree known as TLSI-the Teacher Leadership and School Improvement program, which has been exceptionally successful. Thanks to the outstanding leadership of center director Don Pemberton, assistant director Alyson Adams and their colleagues, powerful partnerships have been built with school districts across the state that are so well respected that districts are willing to contribute funds in a time of scarcity to support teachers to enroll in TLSI. This model has led to significant improvements in teacher quality in high-need schools; under a new national administration, we hope this model will receive greater recognition and encourage other colleges of education to emulate it.
Finally, as a college of education at an AAU Research I university, we need to boost our research productivity and level of external grant funding. We have made major strides in this area, but in these tough economic times even greater effort will be needed. Our Office of Educational Research (OER) is ready to assist faculty in this regard, especially in seeking cross-disciplinary, collaborative grants with units not just on this campus, but with other partners across the nation and world. UF’s highly successful Science for Life program funded by the Howard Hughes Medical Institute is an excellent prototype, and college faculty who are deeply involved have already received separate grants from major funders (NSF) for related activities.
While the formidable challenges we face should not be minimized, the strong relationships that have already been established through multiple venues auger well for our college to succeed and even flourish by identifying and responding to opportunities that will set the standard for how colleges of education will be defined in the 21st century.